
Wednesday, December 23, 2009

Christmas Blessings

Perhaps it's the control freak in me, but I hate walking away from the blog.

Nevertheless, 'tis the season. Though I wanted to pop in to wish you all the merriest of Christmases.

I've got some gingerbread to bake, a few more gifts to wrap.

I've got two more chapters to go on my WIP. (Squee! I mean...squee!)

And I've got a special coffee date this morning.

So. Have a blessed holiday. Enjoy your family, your friends, your down time. Enjoy the sights, scents, impressions of the season. Take time to get in touch with your thankfulness, your sense of contentment.

I'll see you all next week!

***Christmas hugs***


  1. I wish I had 2 chapters left on my WIP. :( Merry Christmas to you too! Enjoy your holiday. :)
    Click for my holiday message!

# Attached: data records
~~~
1.
9
Properties=species:S:1:pos:R:3:mulliken_charge:R:1 method="wB97M-V/def2-TZVPD" charge=0 orbital_gap_ev=8.480 relative_energy_kj_mol=304.5
O 2.52 -0.90 0.49 -0.2477
C 1.52 -0.49 0.86 0.1159
N 0.63 0.75 -0.38 -0.3122
C -0.64 0.66 -0.36 -0.1198
C -1.15 -0.72 -0.16 0.0862
O -0.36 -1.63 0.02 -0.4441
H 1.01 1.68 -0.19 0.2526
H -1.31 1.51 -0.25 0.3402
H -2.23 -0.86 -0.03 0.3290


2.
333
Properties=species:S:1:pos:R:3:mulliken_charge:R:1 method="wB97M-V/def2-TZVPD" charge=+5 orbital_gap_ev=7.584 relative_energy_kj_mol=645.7
C -0.39 3.50 -7.73 -1.4113
C -1.50 2.55 -7.21 0.4781
C -1.84 2.79 -5.71 -1.5081
C -2.86 1.77 -5.12 0.6080
P -4.52 2.52 -4.89 0.9184
C -5.12 3.24 -6.44 -1.3677
C -5.23 2.27 -7.61 -0.4386
C -5.37 3.06 -8.91 -0.9497
C -5.01 2.23 -10.19 -1.2860
C -4.33 3.84 -3.71 -1.5579
C -3.58 3.64 -2.30 0.4624
C -3.86 4.71 -1.13 -0.8053
C -3.00 4.52 0.14 -0.5016
C -5.70 1.21 -4.33 0.6951
C -6.81 1.59 -3.27 -0.8012
C -7.42 0.39 -2.50 0.7538
C -8.30 -0.55 -3.35 -1.5638
H -0.60 4.49 -8.14 0.3444
H 0.05 2.97 -8.56 0.4016
H 0.33 3.48 -6.91 0.3338
H -1.19 1.51 -7.14 0.0119
H -2.37 2.67 -7.85 -0.0544
H -2.25 3.77 -5.49 0.4390
H -0.97 2.81 -5.05 0.7999
H -2.40 1.48 -4.18 -0.3038
H -3.31 0.94 -5.66 -0.0105
H -4.41 4.05 -6.62 0.5479
H -6.14 3.63 -6.41 0.6325
H -6.16 1.70 -7.57 0.5298
H -4.44 1.53 -7.65 0.2845
H -4.72 3.94 -8.98 0.4361
H -6.29 3.64 -8.94 0.5568
H -5.81 1.49 -10.27 0.3421
H -4.08 1.68 -10.03 0.2824
H -4.93 2.82 -11.10 0.3998
H -5.38 4.08 -3.52 0.6348
H -3.79 4.67 -4.17 0.7787
H -2.50 3.58 -2.44 0.3548
H -4.04 2.75 -1.86 -0.6622
H -4.89 4.63 -0.79 0.3475
H -3.75 5.73 -1.50 0.4344
H -1.94 4.78 0.07 0.1578
H -3.29 3.49 0.37 -0.1143
H -3.40 5.11 0.97 0.4337
H -5.08 0.44 -3.88 -1.2061
H -6.13 0.91 -5.29 0.9063
H -7.54 2.25 -3.74 0.3332
H -6.21 2.10 -2.51 0.1608
H -8.04 0.92 -1.78 0.5428
H -6.69 -0.10 -1.86 -0.6236
H -8.66 -1.47 -2.88 0.3594
H -7.68 -0.82 -4.20 0.2529
H -9.19 -0.11 -3.80 0.4004
C 0.42 -1.96 -4.82 0.5941
C -0.55 -1.50 -5.87 -0.2416
C -1.86 -2.40 -5.85 -1.3681
C -2.82 -2.10 -4.69 0.9823
P -3.78 -3.34 -3.97 0.9000
C -4.78 -4.33 -5.07 -1.0096
C -4.00 -5.16 -6.10 -0.6245
C -4.79 -6.20 -6.94 -0.5638
C -3.77 -7.11 -7.63 -1.2966
C -2.79 -4.46 -2.87 -1.3864
C -2.05 -3.76 -1.61 2.5500
C -1.19 -4.68 -0.80 -1.0961
C -0.18 -5.46 -1.64 -1.6710
C -5.02 -2.48 -2.91 -0.1443
C -6.07 -3.29 -2.10 -0.8214
C -5.64 -4.42 -1.18 0.6224
C -6.68 -4.56 0.01 -1.2025
H 1.41 -1.52 -4.90 -1.0411
H 0.67 -3.01 -5.01 0.6295
H -0.04 -1.67 -3.88 -0.3130
H -0.02 -1.31 -6.80 0.6690
H -1.09 -0.58 -5.68 -0.5664
H -1.46 -3.41 -5.91 0.5962
H -2.42 -2.42 -6.78 0.6916
H -3.44 -1.31 -5.11 0.2292
H -2.30 -1.72 -3.81 -0.8428
H -5.42 -3.63 -5.62 0.6160
H -5.38 -4.97 -4.44 0.5692
H -3.22 -5.71 -5.57 0.3227
H -3.51 -4.44 -6.77 0.2002
H -5.41 -5.75 -7.71 0.4018
H -5.54 -6.73 -6.35 0.4387
H -4.29 -7.53 -8.49 0.4268
H -3.47 -7.91 -6.95 0.2989
H -2.88 -6.70 -8.09 0.3261
H -1.99 -4.85 -3.50 1.2477
H -3.37 -5.36 -2.69 0.6128
H -2.69 -3.15 -0.97 -0.4666
H -1.31 -3.06 -1.99 -0.9923
~~~

  2. You're back next week! That's not much of a break. Okay, I'm actually glad you'll be back. While I'm too lazy to blog next week, I have my favorite blogs I like to follow. But most of the agents are taking next week off as well. So I'm glad one of my favorites will still be around. :D

    Have a great Christmas, and good luck on those final chapters.

  3. Merry Christmas, Happy New Year and have fun with your WIP!!! :D

  4. Have a wonderful Christmas! Treasure the moments :)

  5. Back atcha, Authoress!! Have a great break!

  6. Have a great break! Hooray for your WIP!

  7. Merry Christmas Authoress. Many, many thanks for all you do for us: the agent opportunities, the crits, the encouragement & inspriration, all of it.

    And Happy Holidays to all of you fellow followers. Thanks for the comments on Drop the Needle. They were so appreciated.

  8. Two chapters! That's so exciting! I'm mid-revision.

    And I understand your control freak instinct all too well, but we'll be waiting patiently for your next post after Christmas. Enjoy yourself!

  9. Merry Christmas everyone. May all your wishes come true...

  10. Thank you again, Authoress, for all yo do for the rest of us. May many blessing rain down upon you.

    Merry Christmas to all. And Happy Fill-In-The-Blank to any who nmay not be of the Christmas persuasion.

  11. Merry Christmas and yay for having two chapters to go.

  12. Merry Christmas! And congrats on only 2 chapters left! What a way to ring in the new year!

  13. Merry Christmas! Woo hoo on 2 last chapters.

    I also wanted to thank you and all the readers for their helpful comments for the drop the needle.

    I have totally rewritten my scene and have heard it is way better.

    Thank you all so much! Especially you Authoress for your wonderful blog.

  14. Merry Christmas and Happy New Year! Way to go with your WIP!

  15. I left you a little something on my blog. :)

  16. Hope you had a great Christmas.

  17. And a Happy New Year, in case I get swamped at the desk...
